Quote only the last part of the material further below, starting with the line that has "5.2929 5.2929".
=====
<P>
This record from Alexandria describes LaHfZn3 after structural relaxation. The functional is PBE.

Cell: 5.2165 5.2165 5.2165 Å, 90.00 90.00 90.00°
With the nearest neighbours (Å) after each atom.
Atoms (fractional coordinates):
La 0.0000 0.0000 0.0000  6 Zn 2.61
Hf 0.5000 0.5000 0.5000  12 Zn 3.69
Zn 0.0000 0.0000 0.5000  2 La 2.61
Zn 0.0000 0.5000 0.0000  2 La 2.61
Zn 0.5000 0.0000 0.0000  2 La 2.61

Results
Total magnetic moment (μB per formula unit): 0.00

---

<Q>
This record from Alexandria describes LaHfZn3 after structural relaxation. The functional is PBE.

Cell: 5.0781 5.0781 5.0781 Å, 90.00 90.00 90.00°
With the nearest neighbours (Å) after each atom.
Atoms (fractional coordinates):
La 0.0000 0.0000 0.0000  12 Zn 3.59
Hf 0.5000 0.5000 0.5000  6 Zn 2.54
Zn 0.0000 0.5000 0.5000  2 Hf 2.54
Zn 0.5000 0.0000 0.5000  2 Hf 2.54
Zn 0.5000 0.5000 0.0000  2 Hf 2.54

Results
Total magnetic moment (μB per formula unit): 0.00

---

The structure with the least stability is <P>.

---

<P>
This record from Alexandria describes La2HfZr after structural relaxation. The functional is PBE.

Cell: 5.4169 5.4169 5.4169 Å, 60.00 60.00 60.00°
With the nearest neighbours (Å) after each atom.
Atoms (fractional coordinates):
La 0.2500 0.2500 0.2500  4 Hf 3.32, 4 Zr 3.32
La 0.7500 0.7500 0.7500  4 Zr 3.32, 4 Hf 3.32
Hf 0.0000 0.0000 0.0000  8 La 3.32
Zr 0.5000 0.5000 0.5000  8 La 3.32

Results
Total magnetic moment (μB per formula unit): 0.00

---

<Q>
This record from Alexandria describes La2HfZr after structural relaxation. The functional is PBE.

Cell: 6.8536 6.8536 6.8536 Å, 102.13 102.13 125.42°
With the nearest neighbours (Å) after each atom.
Atoms (fractional coordinates):
La 0.1243 0.6250 0.9993  2 Hf 3.14, 2 La 3.14, 2 Zr 3.15
La 0.3750 0.3743 0.4993  2 Hf 3.14, 2 La 3.14, 2 Zr 3.15
La 0.6257 0.1250 0.0007  2 Hf 3.14, 2 La 3.14, 2 Zr 3.15
La 0.8750 0.8757 0.5007  2 Hf 3.14, 2 La 3.14, 2 Zr 3.15
Hf 0.0000 0.0000 0.0000  4 La 3.14, 2 Zr 3.14
Hf 0.7500 0.2500 0.5000  4 La 3.14, 2 Zr 3.14
Zr 0.2500 0.7500 0.5000  2 Hf 3.14, 4 La 3.15
Zr 0.5000 0.5000 0.0000  2 Hf 3.14, 4 La 3.15

Results
Total magnetic moment (μB per formula unit): 1.27

---

The structure with the least stability is <Q>.

---

<P>
This record from Alexandria describes LaHfZr3 after structural relaxation. The functional is PBE.

Cell: 5.2929 5.2929 5.2929 Å, 90.00 90.00 90.00°
With the nearest neighbours (Å) after each atom.
Atoms (fractional coordinates):
La 0.0000 0.0000 0.0000  12 Zr 3.74
Hf 0.5000 0.5000 0.5000  6 Zr 2.65
Zr 0.0000 0.5000 0.5000  2 Hf 2.65
Zr 0.5000 0.0000 0.5000  2 Hf 2.65
Zr 0.5000 0.5000 0.0000  2 Hf 2.65

Results
Total magnetic moment (μB per formula unit): 0.00

---

<Q>
This record from Alexandria describes LaHfZr3 after structural relaxation. The functional is PBE.

Cell: 5.1099 5.1099 5.1099 Å, 90.00 90.00 90.00°
With the nearest neighbours (Å) after each atom.
Atoms (fractional coordinates):
La 0.0000 0.0000 0.0000  6 Zr 2.55
Hf 0.5000 0.5000 0.5000  12 Zr 3.61
Zr 0.0000 0.0000 0.5000  2 La 2.55
Zr 0.0000 0.5000 0.0000  2 La 2.55
Zr 0.5000 0.0000 0.0000  2 La 2.55

Results
Total magnetic moment (μB per formula unit): 0.00

---

The structure with the least stability is <Q>.

---

<P>
This record from Alexandria describes LiHfMg after structural relaxation. The functional is PBE.

Cell: 7.0377 7.0377 7.0377 Å, 155.19 155.19 35.37°
With the nearest neighbours (Å) after each atom.
Atoms (fractional coordinates):
Li 0.0000 0.0000 0.0000  4 Mg 3.01, 4 Li 3.02, 4 Hf 3.11
Hf 0.6689 0.6689 0.0000  4 Hf 3.02, 4 Li 3.11, 4 Mg 3.15
Mg 0.3418 0.3418 0.0000  4 Li 3.01, 4 Mg 3.02, 4 Hf 3.15

Results
Total magnetic moment (μB per formula unit): 0.00

---

<Q>
This record from Alexandria describes LiHfMg after structural relaxation. The functional is PBE.

Cell: 3.1511 3.1594 15.5441 Å, 90.10 95.75 119.80°
With the nearest neighbours (Å) after each atom.
Atoms (fractional coordinates):
Li 0.1133 0.3045 0.4174  3 Mg 3.13-3.14, 9 Li 3.13-3.16
=====
Cell: 5.2929 5.2929 5.2929 Å, 90.00 90.00 90.00°
With the nearest neighbours (Å) after each atom.
Atoms (fractional coordinates):
La 0.0000 0.0000 0.0000  12 Zr 3.74
Hf 0.5000 0.5000 0.5000  6 Zr 2.65
Zr 0.0000 0.5000 0.5000  2 Hf 2.65
Zr 0.5000 0.0000 0.5000  2 Hf 2.65
Zr 0.5000 0.5000 0.0000  2 Hf 2.65

Results
Total magnetic moment (μB per formula unit): 0.00

---

<Q>
This record from Alexandria describes LaHfZr3 after structural relaxation. The functional is PBE.

Cell: 5.1099 5.1099 5.1099 Å, 90.00 90.00 90.00°
With the nearest neighbours (Å) after each atom.
Atoms (fractional coordinates):
La 0.0000 0.0000 0.0000  6 Zr 2.55
Hf 0.5000 0.5000 0.5000  12 Zr 3.61
Zr 0.0000 0.0000 0.5000  2 La 2.55
Zr 0.0000 0.5000 0.0000  2 La 2.55
Zr 0.5000 0.0000 0.0000  2 La 2.55

Results
Total magnetic moment (μB per formula unit): 0.00

---

The structure with the least stability is <Q>.

---

<P>
This record from Alexandria describes LiHfMg after structural relaxation. The functional is PBE.

Cell: 7.0377 7.0377 7.0377 Å, 155.19 155.19 35.37°
With the nearest neighbours (Å) after each atom.
Atoms (fractional coordinates):
Li 0.0000 0.0000 0.0000  4 Mg 3.01, 4 Li 3.02, 4 Hf 3.11
Hf 0.6689 0.6689 0.0000  4 Hf 3.02, 4 Li 3.11, 4 Mg 3.15
Mg 0.3418 0.3418 0.0000  4 Li 3.01, 4 Mg 3.02, 4 Hf 3.15

Results
Total magnetic moment (μB per formula unit): 0.00

---

<Q>
This record from Alexandria describes LiHfMg after structural relaxation. The functional is PBE.

Cell: 3.1511 3.1594 15.5441 Å, 90.10 95.75 119.80°
With the nearest neighbours (Å) after each atom.
Atoms (fractional coordinates):
Li 0.1133 0.3045 0.4174  3 Mg 3.13-3.14, 9 Li 3.13-3.16